Style, K-L-M

Kansas State University — K-State on second reference. Do not use K-State University. Avoid using KSU unless space limitations require it. Do not capitalize university when used alone. The main campus is in Manhattan; the main administrative offices are in Anderson Hall. Additional campuses are in Salina and Olathe:

Kansas State University Olathe — Second reference: K-State Olathe. K-State Olathe is one of the university's four campuses and includes the U.S.-China Center for Animal Health, the Urban Water Institute, SmartVet and other industry and academic partners.

Kansas State University Polytechnic — Second reference: Kansas State Polytechnic or K-State Polytechnic. Kansas State Polytechnic is one of Kansas State University’s four campuses and focuses on teaching theory through hands-on, interdisciplinary and applied learning. It offers 16 undergraduate degrees and a professional Master of Technology.

K-State Research and Extension — The abbreviated name for Kansas State University Agricultural Experiment Station and Cooperative Extension Service. (See separate entries.) The short name is acceptable for general use in publications and other materials. However, the full name must appear at minimum as part of the disclaimer used on printed materials from all units of K-State Research and Extension. Avoid using extension alone because it does not encompass the scope of the organization in Kansas. Do not use the ampersand sign (&) in place of the word and.Identify county and district offices by adding a en dash before the name of the local office: K-State Research and Extension – Riley County; K-State Research and Extension – River Valley District.

KSRE — Do not use the acronym for K-State Research and Extension in publications or documents except in informal, internal documents (such as email messages). K-State Research and Extension is committed to fair treatment of all employees and program participants. You can read more about it here. The Civil Rights page also includes links to other related resources.

K-State 105 — A component of the proposed Economic Prosperity Plan ( The term refers to ways to use resources in every county in Kansas to further economic development. The plan focuses on 4 areas of emphasis: Food and Agriculture Systems Innovation, Digital Agriculture and Advanced Analytics, Biosecurity and Biodefense, and K-State 105.

land-grant — K-State is a land-grant university, the first one in Kansas. The term derives from the Morrill Act, passed in 1862, in which the federal government granted land to each state. (It is important to recognize that much of the land was stolen from indigenous people.) The states sold the land and used the proceeds to finance universities. Under the act, these universities are required to offer instruction in agriculture and the mechanical arts as well as to educate the children of workers. K-State was the first college in America to be officially designated a land-grant school. The term is almost always used as a modifier: land-grant university. Kansas State University has a Land Acknowlegment Statement that can be found here:

Latin — Do not italicize Latin words and phrases in common usage, such as in vitro and post hoc.

lay, lieLay is an action verb and means to put something down. Its past tense is laid. Lay the book on the table. I laid the baby in the crib. The verb lie refers to a state of reclining or resting and its past tense is lay. You should lie down if you feel ill. He lay on the beach all day. (Dreyer has an especially clear explanation of how to use lay and lie.)

lead, led Lead as a verb means to guide or direct. You can lead a horse to water. But as a noun, it is also the mineral. The past tense of the verb lead is led. He led the horse to water but couldn’t make it drink.

LFTB — Abbreviation for lean, finely textured beef. (Sometimes referred to as pink slime. Avoid this usage.)

# Records of crystals from another source follow
____________
Run P
This record from the Alexandria database describes an optimized crystal structure of Cr5Ni. The functional is PBE-GGA.

Properties
size of the total moment: 0.0 μB/cell
V: 70 Å³/f.u.

Cell: 4.1713 7.1958 7.1958 Å, 18.79 90.00 90.00°
Atoms (fractional coordinates):
Cr  0.0000  0.0000  0.0000
Cr  0.0000  0.3274  0.3274
Cr  0.5000  0.2342  0.2342
Cr  0.5000  0.5715  0.5715
Cr  0.5000  0.9039  0.9039
Ni  0.0000  0.6680  0.6680

Run Q
This record from the Alexandria database describes an optimized crystal structure of Cr5Ni. The functional is PBE-GGA.

Properties
size of the total moment: 0.0 μB/cell
V: 76 Å³/f.u.

Cell: 4.7080 4.7080 3.9589 Å, 90.00 90.00 120.00°
Atoms (fractional coordinates):
Cr  0.0000  0.5000  0.0000
Cr  0.3333  0.6667  0.5000
Cr  0.5000  0.0000  0.0000
Cr  0.5000  0.5000  0.0000
Cr  0.6667  0.3333  0.5000
Ni  0.0000  0.0000  0.5000

Run R
This record from the Alexandria database describes an optimized crystal structure of Cr5Ni. The functional is PBE-GGA.

Properties
size of the total moment: 0.0 μB/cell
V: 71 Å³/f.u.

Cell: 4.6523 4.6523 4.6523 Å, 60.00 60.00 60.00°
Atoms (fractional coordinates):
Cr  0.0000  0.0000  0.0000
Cr  0.3745  0.3745  0.3745
Cr  0.3745  0.3745  0.8765
Cr  0.3745  0.8765  0.3745
Cr  0.8765  0.3745  0.3745
Ni  0.7500  0.7500  0.7500

Structures ranked by computed energy, the most stable listed first: run P, run R, run Q.

Run P
This record from the Alexandria database describes an optimized crystal structure of Cr5Ni. The functional is PBE-GGA.

Properties
size of the total moment: 3.1 μB/cell
V: 71 Å³/f.u.

Cell: 6.3710 6.3710 2.9260 Å, 90.00 90.00 143.11°
Atoms (fractional coordinates):
Cr  0.0000  0.0000  0.0000
Cr  0.1635  0.8365  0.5000
Cr  0.3297  0.6703  0.0000
Cr  0.6703  0.3297  0.0000
Cr  0.8365  0.1635  0.5000
Ni  0.5000  0.5000  0.5000

Run Q
This record from the Alexandria database describes an optimized crystal structure of Cr5Ni. The functional is PBE-GGA.

Properties
size of the total moment: 0.0 μB/cell
V: 69 Å³/f.u.

Cell: 2.3851 2.3851 12.2130 Å, 90.00 90.00 90.00°
Atoms (fractional coordinates):
Cr  0.0000  0.0000  0.0000
Cr  0.0000  0.0000  0.3440
Cr  0.0000  0.0000  0.6560
Cr  0.5000  0.5000  0.1728
Cr  0.5000  0.5000  0.8272
Ni  0.5000  0.5000  0.5000

Run R
This record from the Alexandria database describes an optimized crystal structure of Cr5Ni. The functional is PBE-GGA.

Properties
size of the total moment: 0.0 μB/cell
V: 69 Å³/f.u.

Cell: 4.9341 4.9341 6.3325 Å, 103.35 103.35 27.64°
Atoms (fractional coordinates):
Cr  0.0000  0.0000  0.0000
Cr  0.0653  0.0653  0.6465
Cr  0.3252  0.3252  0.6752
Cr  0.4031  0.4031  0.3035
Cr  0.6678  0.6678  0.3327
Ni  0.7314  0.7314  0.9700

Structures ranked by computed energy, the most stable listed first: run P, run Q, run R.

Run P
This record from the Alexandria database describes an optimized crystal structure of Cr4Ni5. The functional is PBE-GGA.

Properties
size of the total moment: 0.0 μB/cell
V: 100 Å³/f.u.
____________

loose, loseLoose means not tight. These pants are too loose. Lose is the present tense of lost. Don’t lose your keys.

low fat, low-fat — Hyphenate when used as a modifier. He prefers low-fat milk.

marestail — Broadleaf weed. One word.

May, mightMay expresses permission or possibility. Use might to express something contrary to fact. If I had studied, I might (not may) have passed the test. (See can, could .)

measurements — Use numerals for measurements and spell out units of measure (feet, inches, yards, miles, cups, teaspoons, tablespoons, and others). Also see units for abbreviations used in scientific or tabular material. 2 feet; 5 feet, 7 inches; 1 cup; 4 teaspoons; 7 miles. Hyphenate modifiers: 5-foot, 7-inch man; 10-foot board.

mid- (prefix) — Only hyphenate when used before a capital letter. midsummer, mid-July

mph — miles per hour. Always use the abbreviation. The tractor was going 20 mph.

multicounty — One word.

multipage — One word.